
McCain’s what he (almost) always is

What has happened to John McCain?

This month, the Arizona Republican reacted angrily when the chairman of the Joint Chiefs of Staff came out for scrapping the military’s “don’t ask, don’t tell” rule on homosexuals -- even though McCain earlier said he’d follow the commanders’ advice on the issue.

Before that, McCain voted against a bipartisan proposal for a deficit reduction commission, even though he initially was one of the measure’s co-sponsors. The vote was a jab at President Obama, who had endorsed the idea to show that he was serious about reducing the deficit.

So has McCain, the Republican maverick who bucked his party’s leaders to launch bipartisan legislation on campaign finance reform, turned back into a partisan conservative?


Not really. He’s always been a partisan conservative -- most of the time.

-- begin --
1.
Compound: PaZnAs2
Source: Alexandria via LeMat-Bulk
Functional: PBE
Structure: relaxed

```
PaZnAs2
1.0
4.852 0.000 0.000
2.426 4.202 0.000
2.426 1.401 3.962
As Pa Zn
2 1 1
Cartesian
2.426 1.401 0.990
7.278 4.202 2.971
4.852 2.801 1.981
0.000 0.000 0.000
```

## Properties
* N(E_F): 4.5 states/eV/f.u.
* formation energy from the elements: -378 meV/atom


2.
Compound: PmNd5SmTm2
Source: Alexandria via LeMat-Bulk
Functional: PBE
Structure: relaxed

```
PmNd5SmTm2
1.0
5.691 0.000 0.000
-2.846 10.222 0.000
0.000 0.000 10.712
Pm Nd Sm Tm
2 10 2 4
Cartesian
2.846 6.133 5.467
0.000 4.088 0.111
0.000 7.980 0.278
2.846 4.475 8.679
0.000 9.773 7.941
0.000 6.057 7.546
2.846 9.885 5.598
2.846 2.241 5.634
0.000 5.747 3.323
2.846 0.449 2.585
2.846 4.164 2.190
0.000 0.337 0.242
2.846 1.790 10.202
0.000 8.432 4.846
2.846 7.834 8.780
0.000 2.273 7.895
0.000 2.388 3.424
2.846 7.949 2.540
```

## Properties
* N(E_F): 14.1 states/eV/f.u.
* formation energy from the elements: 148 meV/atom


3.
Compound: CuPS4
Source: Alexandria via LeMat-Bulk
Functional: PBE
Structure: relaxed

```
CuPS4
1.0
-0.455 -3.874 -4.070
5.533 0.403 -1.002
1.431 -5.956 5.509
Cu P S
2 2 8
Cartesian
0.716 -2.978 2.754
0.000 0.000 0.000
3.124 -1.288 0.876
0.846 -6.404 2.097
2.085 -3.056 0.928
4.103 -5.031 -1.730
5.037 -4.478 1.396
1.794 -6.289 0.280
1.440 -3.558 -2.835
3.960 -1.253 -0.998
5.244 -7.705 1.242
2.375 -6.338 3.465
```

## Properties
* N(E_F): 5.8 states/eV/f.u.


4.
Compound: AcGaPdAu
Source: Alexandria via LeMat-Bulk
Functional: PBE
Structure: relaxed

```
AcGaPdAu
1.0
-0.719 -0.878 4.955
-3.053 -3.779 1.494
1.972 -4.159 2.156
Ac Au Ga Pd
1 1 1 1
Cartesian
-1.350 -6.612 6.454
0.000 0.000 0.000
-0.450 -2.204 2.151
-0.900 -4.408 4.303
```

## Properties
* N(E_F): 3.8 states/eV/f.u.
* formation energy from the elements: -533 meV/atom


5.
Compound: Tl2SbBr
Source: Alexandria via LeMat-Bulk
Functional: PBE
Structure: relaxed

```
Tl2SbBr
1.0
6.379 0.063 0.012
5.351 3.482 0.012
-0.011 -0.003 5.746
Sb Tl Br
1 2 1
Cartesian
8.706 2.633 5.046
0.076 0.022 5.028
2.895 0.875 2.161
5.889 1.780 2.167
```

## Properties
* N(E_F): 1.8 states/eV/f.u.


6.
Compound: Rb6Au2Br
Source: Alexandria via LeMat-Bulk
Functional: PBE
Structure: relaxed

```
Rb6Au2Br
1.0
-6.458 5.252 2.216
-8.135 -2.814 -0.298
-4.253 -1.800 8.613
Rb Au Br
6 2 1
Cartesian
-8.861 2.442 8.062
-6.988 -1.975 6.471
-11.978 -1.404 7.041
-9.986 -1.805 2.469
-11.859 2.612 4.060
-6.868 2.041 3.490
-4.577 -0.414 4.381
-14.269 1.051 6.150
0.000 0.000 0.000
```

## Properties
* N(E_F): 4.0 states/eV/f.u.


7.
Compound: BaCo2Ni
Source: Alexandria via LeMat-Bulk
Functional: PBE
Structure: relaxed

```
BaCo2Ni
1.0
-1.009 3.823 3.792
-1.490 -2.114 4.829
3.950 0.395 -3.775
Ba Co Ni
1 2 1
Cartesian
0.605 -0.433 2.682
-2.369 1.619 8.169
-1.381 0.944 4.763
0.846 2.536 2.164
```

## Properties
* N(E_F): 5.2 states/eV/f.u.
* formation energy from the elements: 811 meV/atom


8.
Compound: Li2Al
Source: Alexandria via LeMat-Bulk
Functional: PBE
-- stop --

Ever since he entered politics as a foot soldier for Ronald Reagan in the House in 1982, McCain has been a fiscal conservative, a traditionalist on social issues and a hawk on foreign policy. Yes, he’s broken with his party’s majority on a handful of issues -- campaign finance, climate change and immigration -- but except for campaign finance, the breaks have never been radical or long lasting. His image as an independent has been exaggerated, often by those of us in the media who yearn for politicians to break ranks because it makes a good story.

Not surprisingly, that’s McCain’s story too.

“I don’t believe that I’ve changed,” he told me last week. “I’m somewhat entertained by the notion that I have.”

In fact, McCain gave up most of his maverick ways beginning in 2006, when he decided to run for the Republican presidential nomination and found that he had to convince conservatives that he was still one of them.


That’s when he reversed his position on then-President George W. Bush’s big tax cuts; he had at first opposed them as a giveaway to the rich, but since 2006 he has wanted to keep them. And he made similar moves on other issues. Any voter who watched the 2008 presidential campaign knows that McCain ran as a thoroughgoing conservative. His only excursion into maverickland was choosing Alaska Gov. Sarah Palin as his running mate.

On gays in the military and other social issues, McCain has long been a more traditional conservative than his libertarian mentor, the late Sen. Barry M. Goldwater (R-Ariz.).

Critics have pointed to McCain’s promise in 2006 to reconsider “don’t ask, don’t tell” if the military’s leadership ever proposed a change -- and accused him of hypocrisy when he attacked Navy Adm. Michael G. Mullen, chairman of the Joint Chiefs, for doing exactly that.


But they have overlooked McCain’s other, blunter statements of his views. “I remain opposed to the open expression of homosexuality in the U.S. military,” McCain, the son and grandson of admirals, wrote in 2007.

[The page is interrupted by records of crystals]
+++
The following is a PBE calculation of an optimized crystal structure of LuAsCl, from the Alexandria database.

## Properties
electronic total energy = -14.1 eV per cell

Unit cell a=3.4272 b=4.6418 c=4.6418 alpha=120.00 beta=90.00 gamma=90.00
Sites, in units of the cell vectors:
Lu  0.1670  0.0000  0.0000
Cl  0.1665  0.3333  0.6667
As  0.6665  0.6667  0.3333

~~~~~

Record 1
Crystalline BaAu2SeO at its relaxed geometry, computed with PBE-GGA.

Summary:
E_form (uncorrected) (eV/f.u.): 2.329
SG: No. 123

Cell lengths 6.0300, 6.0300, 4.3630 Å; angles 90.00, 90.00, 90.00 degrees
Positions (direct):
Ba  0.0000  0.0000  0.0000
Au  0.0000  0.5000  0.0000
Au  0.5000  0.0000  0.0000
Se  0.5000  0.5000  0.5000
O  0.0000  0.0000  0.5000

=====

Record 2
Crystalline ThZrSc at its relaxed geometry, computed with PBE-GGA.

Summary:
Energy relative to the lowest polymorph listed for this composition (meV per atom): 9
SG: No. 156

Cell lengths 5.2653, 5.2653, 3.3751 Å; angles 90.00, 90.00, 120.00 degrees
Positions (direct):
Th  0.0000  0.0000  0.0000
Zr  0.3333  0.6667  0.4991
Sc  0.6667  0.3333  0.5011

=====

Record 3
Crystalline TbTmNp2S4 at its relaxed geometry, computed with PBE-GGA.

Summary:
E_form (uncorrected) (eV/f.u.): -13.464
SG: No. 10

Cell lengths 6.7441, 3.8942, 6.7616 Å; angles 90.00, 109.40, 90.00 degrees
Positions (direct):
Tb  0.0000  0.0000  0.0000
Tm  0.0000  0.5000  0.5000
Np  0.5000  0.0000  0.5000
Np  0.5000  0.5000  0.0000
S  0.2462  0.0000  0.7452
S  0.2491  0.5000  0.2531
S  0.7509  0.5000  0.7469
S  0.7538  0.0000  0.2548

=====

Copy entry 2 word for word.
Crystalline ThZrSc at its relaxed geometry, computed with PBE-GGA.

Summary:
Energy relative to the lowest polymorph listed for this composition (meV per atom): 9
SG: No. 156

Cell lengths 5.2653, 5.2653, 3.3751 Å; angles 90.00, 90.00, 120.00 degrees
Positions (direct):
Th  0.0000  0.0000  0.0000
Zr  0.3333  0.6667  0.4991
Sc  0.6667  0.3333  0.5011
+++
[Here the page continues]

That’s still his position today. “It’s my view that the rule is working,” he told me. “Changing it was a campaign pledge by the president. It wasn’t that there was any huge discontent in the military.” If the leaders of the armed forces -- not just Mullen -- formally decide that a change is warranted, “I will pay close attention,” McCain said. But that’s all.

His vote against the deficit commission he once supported is harder to explain except as an act of party loyalty (Senate Republican leader Mitch McConnell asked for it) and as another way to take a swipe at Obama. He said it’s because he feared a commission with a Democratic majority would recommend tax increases. But McCain doesn’t much like the Democrat who defeated him in the 2008 presidential election. And it’s not simply because he lost the race.

The two tangled even before the presidential campaign, when then-Sen. Obama briefly signed on to a McCain proposal for bipartisan ethics legislation -- only to back out when Democratic leaders sponsored a different bill. A furious McCain wrote Obama a letter that he then released: “I’m embarrassed to admit that after all these years in politics, I failed to interpret your [promises of bipartisanship] as typical rhetorical gloss . . . to make self-interested partisan posturing appear more noble.”

During the campaign, McCain never hid his view that Obama, 25 years his junior, was too inexperienced to be president, or his anger at what he considered distortions of his positions by the Obama campaign.

“I’ve always tried to be respectful,” he said last week -- and then swung vigorously into denunciation.


“The president says he’s serious about bipartisanship,” McCain said. “But not once to my knowledge has there been a serious face-to-face negotiation where you start from scratch. . . . They figured they could just jam [their program] through and/or pick off one or two Republicans and call it bipartisan.

“There really has been no change in Washington,” he said. “It’s power politics. . . . That was not the rhetoric that the president used during the campaign.”

Democrats who once worked with McCain accuse him of simply being bitter about his election loss. Others note that McCain, 73, faces a challenge from the right in Arizona’s Republican primary election in August; former Rep. J.D. Hayworth hopes to unseat the senator by branding him as not conservative enough. After an early poll showed that the race could be close, McCain started campaigning early, collected a pile of conservative endorsements, including Palin’s, and now appears to have a comfortable lead.

But there’s one more factor: McCain enjoys being an underdog. When Republicans were in the majority, he sometimes bucked the GOP leadership on issues he was passionate about. But when Democrats control the White House and Congress, and are pushing healthcare and energy bills he doesn’t like, his instinct is to fight that power.

“What’s the main issue of the day?” McCain said. “Healthcare -- and of course I’m on the floor fighting. This is a fierce debate we’re in, and I’ve enjoyed it. I’ve enjoyed watching American public opinion come our way. . . . I am a happy man.”

If Republicans ever regain control of the Senate, McCain might turn unpredictable again. But for now, he’s content to battle as the regular Republican he has almost always been.


d [email protected]
